# Brief
Now reproduce the listing underneath word for word.
# File
........
ORCA calculation (the ωB97M-V functional and the def2-TZVPD basis) on C3H3N5 as an isolated structure in a non-equilibrium geometry.

Values from the calculation:
Frontier orbital gap, eV: 7.90

Positions of all 11 atoms, in Å:
C 1.19489 0.33365 -0.13517
C -0.52825 1.41528 -0.14148
C -1.21002 -0.79808 0.27471
H 2.07375 -1.39885 1.02644
H -1.26936 2.25024 -0.52885
H -1.86745 -1.44656 0.75329
N 1.91544 -0.25118 0.80116
N 0.71226 1.52670 -0.58734
N -1.36593 0.42116 0.40927
N -0.32308 -1.30559 -0.72730
N 0.66775 -0.74677 -1.14472

Atomic partial charges in e from the Löwdin method, atoms 1 to 8:
1. C -0.50
2. C -0.18
3. C -0.18
4. H 0.15
5. H 0.15
6. H 0.10
7. N 0.10
8. N 0.17

=====

ORCA calculation (the ωB97M-V functional and the def2-TZVPD basis) on one molecule with the formula C3H3N5 in a non-equilibrium geometry.

Values from the calculation:
SMILES string: [H]/N=c1/cnncnn1
Frontier orbital gap, eV: 7.43

Positions of all 11 atoms, in Å:
C -0.99536 -0.13287 0.11214
C -0.02785 -1.11405 -0.28456
C 1.70782 0.71644 0.27365
H -3.10288 0.61601 0.06537
H -0.84382 -1.99394 -0.58489
H 2.27121 1.50088 0.71610
N -2.39370 -0.37328 0.32334
N 1.31365 -1.29542 -0.32683
N 2.10928 -0.44965 0.37632
N 0.64826 1.38070 -0.49974
N -0.68663 1.14519 -0.17089

Atomic partial charges in e from the Löwdin method, atoms 1 to 8:
1. C -0.46
2. C -0.10
3. C -0.22
4. H 0.16
5. H 0.17
6. H 0.10
7. N 0.09
8. N 0.03

=====

Summary of total energy in a.u.
-389.7112 -389.6107
(order as listed above)

* * * * *

No. 1
The following is a DFT calculation (ωB97M-V with the def2-TZVPD basis set) of 12 unconnected molecules or ions with the total composition C5H36N2O12 at a distorted geometry.

CARTESIAN COORDINATES (ANGSTROEM)
H (-1.37, 2.30, 3.55)
H (-4.28, 0.22, -1.33)
O (0.26, -4.11, 1.20)
H (0.29, -2.93, 2.60)
H (-0.07, -2.55, -2.52)
H (2.68, -1.81, 1.35)
H (4.50, 0.74, 0.71)
C (-1.63, 2.70, 1.63)
H (-0.38, -1.50, 2.98)
O (2.78, 1.17, -1.30)
O (0.36, -2.11, 3.13)
H (2.47, 0.27, -1.06)
H (0.94, 0.55, 0.92)
O (3.83, 1.12, 1.28)
C (-0.12, 0.73, 1.09)
H (4.81, -0.81, -1.86)
H (2.01, -1.42, 2.72)
H (0.84, -4.86, 1.05)
H (2.35, -2.01, -1.85)
O (-4.55, -0.04, -0.45)
H (1.25, 3.17, -3.42)
H (3.21, 1.53, -0.50)
H (-0.96, -0.65, -3.08)
H (-0.14, 0.63, -1.56)
O (-1.29, 3.06, 2.98)
C (-1.00, -0.16, 0.22)
H (-1.96, 0.33, 0.13)
C (-1.24, -1.01, -2.08)
H (-1.76, 1.78, -1.88)
O (-3.26, -0.38, 2.18)
H (-2.28, 2.85, -2.75)
C (-0.37, 2.25, 0.88)
O (-2.58, 2.03, -2.32)
H (-0.47, 0.55, 2.10)
H (3.42, 0.31, 1.67)
N (-0.39, -0.25, -1.13)
H (-4.00, -0.25, 1.57)
O (2.80, -1.30, 2.16)
O (2.12, -1.52, -1.04)
H (1.77, 1.96, -2.55)
H (4.01, 0.22, -2.68)
H (-0.41, 2.58, -0.15)
H (-1.16, -1.19, 0.52)
H (-0.64, -4.37, 1.38)
H (1.15, -1.60, -0.93)
H (-4.96, 0.78, -0.11)
H (0.45, 2.69, 1.42)
N (-0.97, -2.46, -2.08)
H (-2.29, -0.88, -1.82)
H (-3.71, -0.82, 2.91)
O (4.32, -0.70, -2.68)
O (0.97, 2.37, -2.95)
H (-2.46, 1.98, 1.64)
H (-1.98, 3.64, 1.21)
H (-0.92, -2.81, -1.13)

Summary:
- E_LUMO: -0.10 eV
- SMILES string: NCNCCCCO.O.O.O.O.O.O.O.O.O.O.O
- Calculated total energy: -1224.48543 a.u.
- Energy above the lowest of the compared OMol25 structures with the same formula, charge and spin: 37.26 kcal/mol

These are the natural (NBO) partial charges, in e, on atoms 1 to 5: 0.4628 0.4946 -0.9616 0.5041 0.3453



No. 2
The following is a DFT calculation (ωB97M-V with the def2-TZVPD basis set) of 14 unconnected molecules or ions with the total composition C5H36O14 at a distorted geometry.

CARTESIAN COORDINATES (ANGSTROEM)
H (4.16, -1.03, -0.74)
H (-3.24, 3.19, -1.05)
H (-1.58, 1.01, 3.52)
H (-3.13, -2.48, -0.23)
H (-0.71, 2.62, -0.08)
C (4.36, -0.05, 1.73)
C (2.37, -0.12, 0.10)
H (-2.26, -0.73, 2.21)
H (2.53, 3.35, -0.45)
O (-3.09, 2.70, -0.23)
O (-0.20, 2.42, -0.89)
O (2.47, 3.15, 0.48)
O (1.55, -1.16, -3.50)
C (3.08, -0.92, -1.01)
O (-0.63, 1.98, -4.66)
H (-0.84, -1.02, 2.87)
H (0.77, -0.73, -3.85)
O (-0.69, -3.36, 0.33)
H (1.35, -0.49, 0.02)
H (3.08, -0.33, -1.94)
H (5.05, -0.42, 1.01)
........
# Reply
ORCA calculation (the ωB97M-V functional and the def2-TZVPD basis) on C3H3N5 as an isolated structure in a non-equilibrium geometry.

Values from the calculation:
Frontier orbital gap, eV: 7.90

Positions of all 11 atoms, in Å:
C 1.19489 0.33365 -0.13517
C -0.52825 1.41528 -0.14148
C -1.21002 -0.79808 0.27471
H 2.07375 -1.39885 1.02644
H -1.26936 2.25024 -0.52885
H -1.86745 -1.44656 0.75329
N 1.91544 -0.25118 0.80116
N 0.71226 1.52670 -0.58734
N -1.36593 0.42116 0.40927
N -0.32308 -1.30559 -0.72730
N 0.66775 -0.74677 -1.14472

Atomic partial charges in e from the Löwdin method, atoms 1 to 8:
1. C -0.50
2. C -0.18
3. C -0.18
4. H 0.15
5. H 0.15
6. H 0.10
7. N 0.10
8. N 0.17

=====

ORCA calculation (the ωB97M-V functional and the def2-TZVPD basis) on one molecule with the formula C3H3N5 in a non-equilibrium geometry.

Values from the calculation:
SMILES string: [H]/N=c1/cnncnn1
Frontier orbital gap, eV: 7.43

Positions of all 11 atoms, in Å:
C -0.99536 -0.13287 0.11214
C -0.02785 -1.11405 -0.28456
C 1.70782 0.71644 0.27365
H -3.10288 0.61601 0.06537
H -0.84382 -1.99394 -0.58489
H 2.27121 1.50088 0.71610
N -2.39370 -0.37328 0.32334
N 1.31365 -1.29542 -0.32683
N 2.10928 -0.44965 0.37632
N 0.64826 1.38070 -0.49974
N -0.68663 1.14519 -0.17089

Atomic partial charges in e from the Löwdin method, atoms 1 to 8:
1. C -0.46
2. C -0.10
3. C -0.22
4. H 0.16
5. H 0.17
6. H 0.10
7. N 0.09
8. N 0.03

=====

Summary of total energy in a.u.
-389.7112 -389.6107
(order as listed above)

* * * * *

No. 1
The following is a DFT calculation (ωB97M-V with the def2-TZVPD basis set) of 12 unconnected molecules or ions with the total composition C5H36N2O12 at a distorted geometry.

CARTESIAN COORDINATES (ANGSTROEM)
H (-1.37, 2.30, 3.55)
H (-4.28, 0.22, -1.33)
O (0.26, -4.11, 1.20)
H (0.29, -2.93, 2.60)
H (-0.07, -2.55, -2.52)
H (2.68, -1.81, 1.35)
H (4.50, 0.74, 0.71)
C (-1.63, 2.70, 1.63)
H (-0.38, -1.50, 2.98)
O (2.78, 1.17, -1.30)
O (0.36, -2.11, 3.13)
H (2.47, 0.27, -1.06)
H (0.94, 0.55, 0.92)
O (3.83, 1.12, 1.28)
C (-0.12, 0.73, 1.09)
H (4.81, -0.81, -1.86)
H (2.01, -1.42, 2.72)
H (0.84, -4.86, 1.05)
H (2.35, -2.01, -1.85)
O (-4.55, -0.04, -0.45)
H (1.25, 3.17, -3.42)
H (3.21, 1.53, -0.50)
H (-0.96, -0.65, -3.08)
H (-0.14, 0.63, -1.56)
O (-1.29, 3.06, 2.98)
C (-1.00, -0.16, 0.22)
H (-1.96, 0.33, 0.13)
C (-1.24, -1.01, -2.08)
H (-1.76, 1.78, -1.88)
O (-3.26, -0.38, 2.18)
H (-2.28, 2.85, -2.75)
C (-0.37, 2.25, 0.88)
O (-2.58, 2.03, -2.32)
H (-0.47, 0.55, 2.10)
H (3.42, 0.31, 1.67)
N (-0.39, -0.25, -1.13)
H (-4.00, -0.25, 1.57)
O (2.80, -1.30, 2.16)
O (2.12, -1.52, -1.04)
H (1.77, 1.96, -2.55)
H (4.01, 0.22, -2.68)
H (-0.41, 2.58, -0.15)
H (-1.16, -1.19, 0.52)
H (-0.64, -4.37, 1.38)
H (1.15, -1.60, -0.93)
H (-4.96, 0.78, -0.11)
H (0.45, 2.69, 1.42)
N (-0.97, -2.46, -2.08)
H (-2.29, -0.88, -1.82)
H (-3.71, -0.82, 2.91)
O (4.32, -0.70, -2.68)
O (0.97, 2.37, -2.95)
H (-2.46, 1.98, 1.64)
H (-1.98, 3.64, 1.21)
H (-0.92, -2.81, -1.13)

Summary:
- E_LUMO: -0.10 eV
- SMILES string: NCNCCCCO.O.O.O.O.O.O.O.O.O.O.O
- Calculated total energy: -1224.48543 a.u.
- Energy above the lowest of the compared OMol25 structures with the same formula, charge and spin: 37.26 kcal/mol

These are the natural (NBO) partial charges, in e, on atoms 1 to 5: 0.4628 0.4946 -0.9616 0.5041 0.3453



No. 2
The following is a DFT calculation (ωB97M-V with the def2-TZVPD basis set) of 14 unconnected molecules or ions with the total composition C5H36O14 at a distorted geometry.

CARTESIAN COORDINATES (ANGSTROEM)
H (4.16, -1.03, -0.74)
H (-3.24, 3.19, -1.05)
H (-1.58, 1.01, 3.52)
H (-3.13, -2.48, -0.23)
H (-0.71, 2.62, -0.08)
C (4.36, -0.05, 1.73)
C (2.37, -0.12, 0.10)
H (-2.26, -0.73, 2.21)
H (2.53, 3.35, -0.45)
O (-3.09, 2.70, -0.23)
O (-0.20, 2.42, -0.89)
O (2.47, 3.15, 0.48)
O (1.55, -1.16, -3.50)
C (3.08, -0.92, -1.01)
O (-0.63, 1.98, -4.66)
H (-0.84, -1.02, 2.87)
H (0.77, -0.73, -3.85)
O (-0.69, -3.36, 0.33)
H (1.35, -0.49, 0.02)
H (3.08, -0.33, -1.94)
H (5.05, -0.42, 1.01)